Dog befriends fawn, inspiring a book and fuelling controversy
<<<
Here is a relaxed Si3N4 crystal from the Materials Project database. Energies are from GGA-PBE.

Lattice parameters (Å, degrees): 7.4150 7.4150 6.2511 90.00 90.00 120.00
Last column: nearest neighbours and their distance in Å.
Element x y z (fractional)
Si1 0.0644 0.8272 0.0000  5 N 1.77-1.94
Si2 0.1098 0.4894 0.7208  3 N 1.79-1.82
Si3 0.1728 0.2372 0.0000  5 N 1.77-1.94
Si4 0.2372 0.1728 0.5000  5 N 1.77-1.94
Si5 0.3796 0.8902 0.7208  3 N 1.79-1.82
Si6 0.4894 0.1098 0.2208  3 N 1.79-1.82
Si7 0.5106 0.6204 0.7208  3 N 1.79-1.82
Si8 0.6204 0.5106 0.2208  3 N 1.79-1.82
Si9 0.7628 0.9356 0.0000  5 N 1.77-1.94
Si10 0.8272 0.0644 0.5000  5 N 1.77-1.94
Si11 0.8902 0.3796 0.2208  3 N 1.79-1.82
Si12 0.9356 0.7628 0.5000  5 N 1.77-1.94
N1 0.0000 0.0000 0.1504  1 N 1.27
N2 0.0000 0.0000 0.3531  1 N 1.27
N3 0.0000 0.0000 0.6504  1 N 1.27
N4 0.0000 0.0000 0.8531  1 N 1.27
N5 0.0395 0.3798 0.9895  3 Si 1.77-1.82
N6 0.0515 0.6962 0.7275  3 Si 1.79-1.94
N7 0.3038 0.3553 0.7275  3 Si 1.79-1.94
N8 0.3403 0.9605 0.9895  3 Si 1.77-1.82
N9 0.3553 0.3038 0.2275  3 Si 1.79-1.94
N10 0.3798 0.0395 0.4895  3 Si 1.77-1.82
N11 0.6202 0.6597 0.9895  3 Si 1.77-1.82
N12 0.6447 0.9485 0.7275  3 Si 1.79-1.94
N13 0.6597 0.6202 0.4895  3 Si 1.77-1.82
N14 0.6962 0.0515 0.2275  3 Si 1.79-1.94
N15 0.9485 0.6447 0.2275  3 Si 1.79-1.94
N16 0.9605 0.3403 0.4895  3 Si 1.77-1.82

Properties
Calculated density   3.1 g cm⁻³
Magnetization   0.000 μB per formula unit
Distance to the lowest polymorph of the same formula   707 meV/atom
Calculated formation energy   -0.59 eV/atom

***

Here is a relaxed Si3N2 crystal from the Materials Project database. Energies are from GGA-PBE.

Lattice parameters (Å, degrees): 6.7003 6.7003 6.7003 90.00 90.00 90.00
Last column: nearest neighbours and their distance in Å.
Element x y z (fractional)
Si1 0.0000 0.3217 0.3217  2 N 1.76
Si2 0.0000 0.3217 0.6783  2 N 1.76
Si3 0.0000 0.6783 0.3217  2 N 1.76
Si4 0.0000 0.6783 0.6783  2 N 1.76
Si5 0.3217 0.0000 0.3217  2 N 1.76
Si6 0.3217 0.0000 0.6783  2 N 1.76
Si7 0.3217 0.3217 0.0000  2 N 1.76
Si8 0.3217 0.6783 0.0000  2 N 1.76
Si9 0.6783 0.0000 0.3217  2 N 1.76
Si10 0.6783 0.0000 0.6783  2 N 1.76
Si11 0.6783 0.3217 0.0000  2 N 1.76
Si12 0.6783 0.6783 0.0000  2 N 1.76
N1 0.2214 0.2214 0.2214  3 Si 1.76
N2 0.2214 0.2214 0.7786  3 Si 1.76
N3 0.2214 0.7786 0.2214  3 Si 1.76
N4 0.2214 0.7786 0.7786  3 Si 1.76
N5 0.7786 0.2214 0.2214  3 Si 1.76
N6 0.7786 0.2214 0.7786  3 Si 1.76
N7 0.7786 0.7786 0.2214  3 Si 1.76
N8 0.7786 0.7786 0.7786  3 Si 1.76

Properties
Calculated density   2.5 g cm⁻³
Magnetization   0.000 μB per formula unit
Calculated formation energy   -0.66 eV/atom

=====

No. 1
DFT (r²SCAN) results for a relaxed structure of Y2GeO5.

```
Y2GeO5
1.0
7.4423 -3.4209 0.0000
7.4423 3.4209 0.0000
-5.5268 0.0000 8.8905
Y Ge O
8 4 20
Cartesian
-2.5797 0.8705 7.4458
3.9618 1.7635 4.7538
0.1836 -0.8705 3.0006
2.6327 1.7635 8.5819
6.7252 -1.7635 0.3086
9.1742 0.8705 5.8899
5.3961 -1.7635 4.1367
11.9376 -0.8705 1.4446
>>>

The incredible story of a Great Dane from Vancouver Island befriending an adorable fawn has made news from Britain to Japan, been featured in the Los Angeles Times and on The Ellen Degeneres Show. This week, the tale hits stores in the form of a children’s book, Kate and Pippin: An Unlikely Love Story. The book chronicles how Isobel Springett, a Vancouver Island photographer, found a fawn on her property, and, afraid that it was orphaned, brought it into her home, bottle-fed it powdered goat milk, then watched in amazement as her 110-lb. dog mothered the baby deer.
Springett’s photographs are gorgeous but biologists and conservation officers worry there’s something wrong with the picture. “You’re not allowed to take in wild animals. That’s the law,” says wildlife biologist Jeff Morgan, who has studied the behaviour of black-tailed deer on the island. “In the case of deer, very often the mothers will leave the fawns and go off to forage, and they will leave for prolonged periods of time. People see this and mistake it for a case of abandonment. With good intentions, they will take that fawn, but, unwittingly, they’re removing that fawn from its natural environment and its mother.”
“Fawn kidnapping is the lay term for it,” explains Kari Marks, manager at the B.C. SPCA’s wild animal rehabilitation centre (Wild ARC) in Victoria. Fawn-nappings are so common on the Island, the SPCA now posts online information about what to do if you find a fawn by itself. “Don’t touch it, call us,” says Marks.
_What comes next are records of crystals, not part of the piece_
********
(1)
PmNd3: relaxed, PBE.

a b c (Å): 7.3589 7.3589 6.0586
angles (deg): 90.00 90.00 120.00
Space group P6_3/mmc (No. 194)
One atom of each set of equivalent atoms:
Pm  0.3333  0.6667  0.2500
Nd  0.1667  0.3335  0.7500

ΔH_f (0 K) = 0.03 eV/atom
energy above the most stable polymorph in this dataset = 0.021 eV/atom

(2)
Gd2B6Os: relaxed, PBE.

a b c (Å): 9.146 11.566 3.786
angles (deg): 90.00 90.00 90.00
Space group Pbam (No. 55)
One atom of each set of equivalent atoms:
Gd  0.055  0.127  0.000
Gd  0.177  0.414  0.000
B  0.014  0.288  0.500
B  0.055  0.567  0.500
B  0.112  0.968  0.500
B  0.134  0.813  0.500
B  0.208  0.233  0.500
B  0.248  0.580  0.500
Os  0.139  0.678  0.000

ΔH_f (0 K) = -0.59 eV/atom

(3)
Sm4Bi2O: relaxed, PBE.

a b c (Å): 4.682 4.682 17.435
angles (deg): 90.00 90.00 90.00
Space group I4/mmm (No. 139)
One atom of each set of equivalent atoms:
Sm  0.000  0.000  0.175
Sm  0.000  0.500  0.000
Bi  0.000  0.000  0.360
O  0.000  0.000  0.000

ΔH_f (0 K) = -1.39 eV/atom

(4)
Tm2GaRu: relaxed, PBE.

a b c (Å): 6.877 6.877 6.877
angles (deg): 90.00 90.00 90.00
Space group Fm-3m (No. 225)
One atom of each set of equivalent atoms:
Tm  0.250  0.250  0.250
Ga  0.000  0.000  0.000
Ru  0.000  0.000  0.500

ΔH_f (0 K) = -0.51 eV/atom

(5)
Ba2YBr7: relaxed, PBE.

a b c (Å): 19.882 13.650 12.263
angles (deg): 90.00 120.02 90.00
Space group C2/c (No. 15)
One atom of each set of equivalent atoms:
Ba  0.081  0.180  0.037
Ba  0.122  0.442  0.468
Y  0.172  0.160  0.675
Br  0.064  0.416  0.152
Br  0.065  0.027  0.676
Br  0.071  0.203  0.421
Br  0.079  0.298  0.711
Br  0.215  0.345  0.069
Br  0.229  0.003  0.605
Br  0.231  0.194  0.336

ΔH_f (0 K) = -2.43 eV/atom
energy above the most stable polymorph in this dataset = 0.023 eV/atom

(6)
Ba3Cu2Cl2O4: relaxed, PBE.

a b c (Å): 6.654 6.053 10.734
angles (deg): 90.00 90.00 90.00
Space group Pmma (No. 51)
One atom of each set of equivalent atoms:
Ba  0.250  0.000  0.053
Ba  0.250  0.000  0.703
Ba  0.250  0.500  0.289
Cu  0.000  0.500  0.000
Cu  0.250  0.500  0.832
Cl  0.250  0.000  0.384
Cl  0.250  0.500  0.586
O  0.030  0.278  0.861

ΔH_f (0 K) = -2.14 eV/atom

(7)
HfNi2Sb: relaxed, PBE.

a b c (Å): 4.2086 4.2086 8.2117
angles (deg): 90.00 90.00 120.00
Space group P6_3/mmc (No. 194)
One atom of each set of equivalent atoms:
Hf  0.3333  0.6667  0.2500
Ni  0.3333  0.6667  0.5962
Sb  0.0000  0.0000  0.0000

ΔH_f (0 K) = -0.58 eV/atom

(8)
CdBiBrO2: relaxed, PBE.

a b c (Å): 3.973 3.973 12.685
angles (deg): 90.00 90.00 90.00
Space group I4mm (No. 107)
One atom of each set of equivalent atoms:
Cd  0.000  0.000  0.000
Bi  0.000  0.000  0.326
Br  0.000  0.000  0.648
O  0.000  0.500  0.411

ΔH_f (0 K) = -1.34 eV/atom

(9)
KSrAsH16O12: relaxed, PBE.

a b c (Å): 7.191 7.191 23.650
angles (deg): 90.00 90.00 90.00
Space group I4_1md (No. 109)
One atom of each set of equivalent atoms:
K  0.000  0.000  0.000
Sr  0.000  0.000  0.161
As  0.000  0.000  0.583
H  0.109  0.358  0.076
H  0.110  0.146  0.345
********
The temptation to rescue an apparently abandoned fawn can be great, especially as the hours turn into days. Marks recalls one woman who called about a lone fawn she’d been watching for two full days. Marks told the woman not to intervene because if a fawn is lying still, like a rock, chances are it is completely fine. “Fawns curl up into a ball and you can go right up to them. They truly won’t move, they’re the most obedient babies in the world,” she says.
Another caller reported a fawn sitting perfectly still in the middle of a road, deposited there overnight by the mother, even as traffic whizzed by. In that case Marks told the person to scoop up the fawn, not by hand, but with a piece of tarp, and move it to the side of the road. “It’s only when the fawn is up and walking around and following anything it can find, that’s a sure sign that something’s happened to the mom.”
Last summer, Wild ARC launched a program to reunite kidnapped fawns with their mothers. When people bring in what they think are rescued fawns, staff find out where they were found and return them to the same spot. The animals are rubbed down with grass to mask the scent of humans. In 20 cases, the mom eventually came back and picked up her baby.
Springett said when she took in the fawn the animal had been on its own for three days and was near starving. In the opening lines of the book, Martin Springett, Isobel’s brother, writes, “The fawn lay still and quiet. She was alone and afraid as she waited for her mother to come back.” But Sylvia Campbell at the North Island Wildlife Recovery Association disagrees with that interpretation. “Unfortunately, this woman is an uninformed person. I’m really against this book. I don’t believe this is a healthy story to get out to people.” In the YouTube videos, the deer can be seen wearing a collar and a bell, which Springett says helped her find the fawn in the long grass for feeding.
Springett says her intentions were honourable, and the fact that Pippin, as an adult deer, has raised two fawns of her own is a testament to her upbringing. Even so, wildlife officials in British Columbia have a message for anyone else tempted to rescue what seems like an orphaned baby deer. “If you find a fawn,” says Gord Hitchcock, a conservation officer with the Ministry of Environment, “it’s a requirement to notify an officer.” If the fawn is truly orphaned, the animal should be taken to a wildlife refuge, says Campbell. “We’ll raise it. We put them in with other fawns where they don’t have any imprinting on humans. They shouldn’t have any human attachment whatsoever, and then we let them go.”